**Entries:**
┌──
ORCA calculation (wB97M-V/def2-TZVPD) on a molecular structure, C31H29BrIrN3O2 at a distorted geometry.

## Properties
- Total charge: +1
- HOMO level (alpha / beta): -10.167 / -10.354 eV
- Multiplicity: 2
- Energy relative to the best compared isomer or geometry (same formula, charge and spin): 6.975 eV
- Molecular weight: 747.7 g mol⁻¹
- E_LUMO (alpha / beta): -0.1575 / -0.1591 Eh

```
67
Properties=species:S:1:pos:R:3:forces:R:3
Ir -0.037920 0.157135 -0.020041 0.6272 0.9457 2.2736
O -2.396806 0.139077 -0.546068 2.0235 0.6799 -0.1899
C -3.442985 0.373077 0.299394 -0.8673 0.3599 0.7497
C -4.712812 0.652299 -0.206738 0.5354 -0.2926 -0.3358
C -5.743243 1.027633 0.630645 0.1793 -0.0123 0.4075
C -5.515112 1.166735 1.994941 -0.0563 0.0034 -0.0291
C -4.272376 0.863788 2.505216 0.0851 -0.1133 -0.1529
C -3.214402 0.421308 1.692426 -0.2569 0.3001 -0.7383
C -2.022910 0.008443 2.381337 0.2356 -0.2770 0.0709
N -0.933843 -0.483205 1.910126 0.0030 0.7117 -0.5851
C 0.015523 -0.960531 2.900912 0.5662 -0.4038 0.6819
C 1.454170 -0.944851 2.372423 -0.4061 -0.5703 0.2495
N 1.609972 0.191320 1.505720 -1.6486 -0.6894 -2.0834
C 2.616638 0.971549 1.598500 0.4672 1.1331 -0.4874
C 2.830357 2.164850 0.840020 -0.5827 -0.1593 -0.3393
C 4.068071 2.808107 0.966444 0.3212 0.5522 -0.1455
C 4.333779 4.000064 0.332258 0.2658 -0.4309 0.3590
C 3.351254 4.580161 -0.474112 -0.1579 -0.0980 0.1045
C 2.133576 3.977538 -0.635567 -0.2739 -0.2339 0.1647
C 1.803570 2.757670 0.026079 1.4758 0.0753 0.1015
O 0.623742 2.292657 -0.104330 -2.0186 -1.5566 -0.4733
H -4.868394 0.552587 -1.270237 -0.0588 0.0865 0.0118
H -6.718845 1.230402 0.218275 -0.0806 0.0267 -0.0683
H -6.301468 1.495193 2.655783 -0.0689 0.0315 0.0274
H -4.092851 0.962052 3.566260 -0.0005 -0.0731 0.0959
H -2.125355 0.078823 3.469582 0.1061 -0.1475 -0.0775
H -0.256334 -1.987168 3.161306 0.0666 0.0440 0.0473
H -0.053249 -0.358630 3.815363 -0.0446 -0.0071 -0.1441
H 1.636523 -1.860402 1.802371 0.0440 0.1183 0.0144
H 2.161246 -0.918925 3.211264 -0.1176 0.0474 -0.1621
H 3.399722 0.750819 2.332391 -0.2912 -0.1377 0.0325
H 4.824535 2.346215 1.584391 0.1140 -0.0067 0.1083
H 5.285272 4.488108 0.471168 0.0995 0.0040 -0.0327
H 3.554042 5.523720 -0.959205 -0.0120 0.0610 -0.0991
H 1.367962 4.423208 -1.251527 -0.1035 0.0251 -0.0419
Br 1.820077 -2.138081 -0.993038 0.1282 0.0128 -0.1797
C 2.522079 -0.623968 -1.939014 0.1707 -0.0605 0.2970
C 3.869783 -0.489086 -2.126054 -0.4247 -0.3708 0.2022
C 4.353474 0.631740 -2.812511 -0.0981 0.4206 -0.1814
C 3.488002 1.576252 -3.295648 0.3272 -0.1181 0.0340
C 2.098848 1.450620 -3.106868 -0.2610 -0.4174 0.0388
C 1.180762 2.442171 -3.512775 -0.1800 0.0548 0.0036
C -0.162656 2.295859 -3.303816 0.1928 -0.3009 -0.4953
C -0.688166 1.121145 -2.724179 0.2069 -0.2546 0.2377
C 0.195869 0.227353 -2.137952 0.2347 1.0244 1.3206
C 1.589531 0.324958 -2.398525 0.0677 0.3365 -0.2929
H 4.554963 -1.231721 -1.748358 0.0258 -0.1082 0.0141
H 5.417761 0.745390 -2.944050 0.1006 0.0219 -0.0526
H 3.864777 2.442811 -3.816586 0.0497 0.1059 -0.0839
H 1.548656 3.332216 -4.001509 0.1008 0.1398 0.0807
H -0.832804 3.100295 -3.566540 -0.0785 -0.0032 -0.1634
H -2.616715 1.891702 -2.430244 -0.1620 -0.1084 -0.0520
C -2.805241 1.910213 -5.009646 0.1427 -0.1574 0.1345
C -2.762660 0.620113 -4.185397 -0.0649 -0.1682 -0.1458
C -1.912878 -0.405943 -4.936819 -0.0292 0.1600 0.1357
C -4.190408 0.082274 -4.057841 0.1807 -0.0267 -0.0138
C -2.197575 0.914093 -2.753918 0.6442 1.3945 0.3038
N -2.744753 -0.031891 -1.865971 -1.1196 -1.6077 -0.2840
H -3.371198 1.735620 -5.920913 -0.0440 -0.0484 -0.0970
H -1.806231 2.222019 -5.297625 0.0685 0.1134 -0.0821
H -3.289985 2.717839 -4.467431 -0.0833 0.1682 0.0810
H -2.317419 -0.518653 -5.940727 -0.0227 -0.0961 -0.0718
H -1.925263 -1.377006 -4.447939 0.0292 -0.1242 0.0840
H -0.881629 -0.071065 -5.028752 0.0984 -0.0251 -0.0294
H -4.609105 -0.071662 -5.048217 -0.0457 0.0192 -0.1266
H -4.826048 0.786487 -3.528575 -0.1895 0.1554 0.0777
H -4.198060 -0.861671 -3.525396 -0.1349 -0.1280 -0.0084
```
└──
**Assignment:**
Please copy only the last part of the notes earlier on, starting with the line that has "Total charge:".
**Written answer:**
- Total charge: +1
- HOMO level (alpha / beta): -10.167 / -10.354 eV
- Multiplicity: 2
- Energy relative to the best compared isomer or geometry (same formula, charge and spin): 6.975 eV
- Molecular weight: 747.7 g mol⁻¹
- E_LUMO (alpha / beta): -0.1575 / -0.1591 Eh

```
67
Properties=species:S:1:pos:R:3:forces:R:3
Ir -0.037920 0.157135 -0.020041 0.6272 0.9457 2.2736
O -2.396806 0.139077 -0.546068 2.0235 0.6799 -0.1899
C -3.442985 0.373077 0.299394 -0.8673 0.3599 0.7497
C -4.712812 0.652299 -0.206738 0.5354 -0.2926 -0.3358
C -5.743243 1.027633 0.630645 0.1793 -0.0123 0.4075
C -5.515112 1.166735 1.994941 -0.0563 0.0034 -0.0291
C -4.272376 0.863788 2.505216 0.0851 -0.1133 -0.1529
C -3.214402 0.421308 1.692426 -0.2569 0.3001 -0.7383
C -2.022910 0.008443 2.381337 0.2356 -0.2770 0.0709
N -0.933843 -0.483205 1.910126 0.0030 0.7117 -0.5851
C 0.015523 -0.960531 2.900912 0.5662 -0.4038 0.6819
C 1.454170 -0.944851 2.372423 -0.4061 -0.5703 0.2495
N 1.609972 0.191320 1.505720 -1.6486 -0.6894 -2.0834
C 2.616638 0.971549 1.598500 0.4672 1.1331 -0.4874
C 2.830357 2.164850 0.840020 -0.5827 -0.1593 -0.3393
C 4.068071 2.808107 0.966444 0.3212 0.5522 -0.1455
C 4.333779 4.000064 0.332258 0.2658 -0.4309 0.3590
C 3.351254 4.580161 -0.474112 -0.1579 -0.0980 0.1045
C 2.133576 3.977538 -0.635567 -0.2739 -0.2339 0.1647
C 1.803570 2.757670 0.026079 1.4758 0.0753 0.1015
O 0.623742 2.292657 -0.104330 -2.0186 -1.5566 -0.4733
H -4.868394 0.552587 -1.270237 -0.0588 0.0865 0.0118
H -6.718845 1.230402 0.218275 -0.0806 0.0267 -0.0683
H -6.301468 1.495193 2.655783 -0.0689 0.0315 0.0274
H -4.092851 0.962052 3.566260 -0.0005 -0.0731 0.0959
H -2.125355 0.078823 3.469582 0.1061 -0.1475 -0.0775
H -0.256334 -1.987168 3.161306 0.0666 0.0440 0.0473
H -0.053249 -0.358630 3.815363 -0.0446 -0.0071 -0.1441
H 1.636523 -1.860402 1.802371 0.0440 0.1183 0.0144
H 2.161246 -0.918925 3.211264 -0.1176 0.0474 -0.1621
H 3.399722 0.750819 2.332391 -0.2912 -0.1377 0.0325
H 4.824535 2.346215 1.584391 0.1140 -0.0067 0.1083
H 5.285272 4.488108 0.471168 0.0995 0.0040 -0.0327
H 3.554042 5.523720 -0.959205 -0.0120 0.0610 -0.0991
H 1.367962 4.423208 -1.251527 -0.1035 0.0251 -0.0419
Br 1.820077 -2.138081 -0.993038 0.1282 0.0128 -0.1797
C 2.522079 -0.623968 -1.939014 0.1707 -0.0605 0.2970
C 3.869783 -0.489086 -2.126054 -0.4247 -0.3708 0.2022
C 4.353474 0.631740 -2.812511 -0.0981 0.4206 -0.1814
C 3.488002 1.576252 -3.295648 0.3272 -0.1181 0.0340
C 2.098848 1.450620 -3.106868 -0.2610 -0.4174 0.0388
C 1.180762 2.442171 -3.512775 -0.1800 0.0548 0.0036
C -0.162656 2.295859 -3.303816 0.1928 -0.3009 -0.4953
C -0.688166 1.121145 -2.724179 0.2069 -0.2546 0.2377
C 0.195869 0.227353 -2.137952 0.2347 1.0244 1.3206
C 1.589531 0.324958 -2.398525 0.0677 0.3365 -0.2929
H 4.554963 -1.231721 -1.748358 0.0258 -0.1082 0.0141
H 5.417761 0.745390 -2.944050 0.1006 0.0219 -0.0526
H 3.864777 2.442811 -3.816586 0.0497 0.1059 -0.0839
H 1.548656 3.332216 -4.001509 0.1008 0.1398 0.0807
H -0.832804 3.100295 -3.566540 -0.0785 -0.0032 -0.1634
H -2.616715 1.891702 -2.430244 -0.1620 -0.1084 -0.0520
C -2.805241 1.910213 -5.009646 0.1427 -0.1574 0.1345
C -2.762660 0.620113 -4.185397 -0.0649 -0.1682 -0.1458
C -1.912878 -0.405943 -4.936819 -0.0292 0.1600 0.1357
C -4.190408 0.082274 -4.057841 0.1807 -0.0267 -0.0138
C -2.197575 0.914093 -2.753918 0.6442 1.3945 0.3038
N -2.744753 -0.031891 -1.865971 -1.1196 -1.6077 -0.2840
H -3.371198 1.735620 -5.920913 -0.0440 -0.0484 -0.0970
H -1.806231 2.222019 -5.297625 0.0685 0.1134 -0.0821
H -3.289985 2.717839 -4.467431 -0.0833 0.1682 0.0810
H -2.317419 -0.518653 -5.940727 -0.0227 -0.0961 -0.0718
H -1.925263 -1.377006 -4.447939 0.0292 -0.1242 0.0840
H -0.881629 -0.071065 -5.028752 0.0984 -0.0251 -0.0294
H -4.609105 -0.071662 -5.048217 -0.0457 0.0192 -0.1266
H -4.826048 0.786487 -3.528575 -0.1895 0.1554 0.0777
H -4.198060 -0.861671 -3.525396 -0.1349 -0.1280 -0.0084
```